┌──
Entry 1:
# C2H5NO2

2 unconnected molecules or ions with the total composition C2H5NO2 at a distorted geometry (wB97M-V/def2-TZVPD, OMol25).

Computed properties:
Structure (SMILES): NC=O.C=O
HOMO-LUMO gap, eV: 10.6
Highest occupied orbital energy, eV: -9.8

Geometry as ORCA input:
```
! wB97M-V def2-TZVPD RIJCOSX def2/J DEFGRID3
* xyz 0 1
O -2.842 -2.357 -1.606
C -1.700 -1.880 -1.854
H -1.460 -1.232 -2.775
H -1.068 -2.306 -1.092
C 0.637 1.036 0.960
N 1.641 1.742 1.528
O 0.472 0.909 -0.263
H 0.016 0.404 1.706
H 1.883 1.752 2.492
H 2.421 1.931 0.904
*
```

Entry 2:
# C2H5NO2

C2H5NO2 in the gas phase at a distorted geometry (wB97M-V/def2-TZVPD, OMol25).

Computed properties:
Structure (SMILES): C=[N+]([O-])OC
HOMO-LUMO gap, eV: 10.0
Highest occupied orbital energy, eV: -9.2

Geometry as ORCA input:
```
! wB97M-V def2-TZVPD RIJCOSX def2/J DEFGRID3
* xyz 0 1
C -0.192 -1.926 -0.285
C 0.042 1.702 0.028
N 0.223 -0.843 0.315
O 1.180 -0.597 1.071
O -0.435 0.357 -0.331
H -1.164 -1.838 -0.857
H 0.248 -2.882 -0.156
H -0.925 2.153 -0.078
H 0.675 2.147 -0.733
H 0.347 1.726 1.027
*
```

* * * * *

This record from the Open Molecules 2025 dataset describes 5 unconnected molecules or ions with the total composition C46H106N8O3. The level of theory is wB97M-V/def2-TZVPD.

structure (SMILES): CC[C@H](CN)O[C@](CCN)(N=C(C)C)[C@](CC)(CC(C)C)N(CC)COC(C)=O.CCN(CC)CC.CCN(CC)CC.CCN(CC)CC.CCN(CC)CC
E_tot: -67469.3439 eV
net charge: 0
HOMO level: -7.658 eV

Structure (XYZ):
```
163
Properties=species:S:1:pos:R:3:forces:R:3:mulliken_charge:R:1
C -1.66923 1.61042 0.86741 1.104 0.335 -0.915 -1.03
C -0.40377 0.51825 0.79751 -0.670 0.761 0.446 0.07
C 0.07892 0.26288 -0.78769 -4.004 -0.212 -0.188 -0.28
C -0.45143 -1.21752 -1.36177 0.254 -0.981 1.543 0.18
N -1.70984 -1.11374 -2.19822 0.392 -0.744 0.381 -0.60
O 1.36718 0.68408 -1.14305 -0.022 -1.240 0.272 -0.01
C 2.58463 0.01000 -0.81902 3.219 0.627 -0.036 0.59
C 2.71252 -0.73529 0.61530 -0.880 -0.140 1.681 -0.45
C 1.80658 -2.04989 0.92713 -0.298 -0.718 0.657 0.82
N 2.65733 -2.95421 1.84639 -1.285 0.780 0.455 -0.61
N 3.55530 1.20982 -0.65915 -3.207 1.247 2.649 -0.12
C 3.11915 2.25865 0.01001 1.570 0.133 0.036 0.10
C 3.63377 2.46566 1.59257 1.142 -0.009 -1.197 -0.71
C 2.27370 3.59840 -0.52771 -1.160 -1.039 1.074 -0.40
C 3.30365 -0.78977 -2.12105 0.655 2.697 -0.798 0.28
C 4.93264 -0.60914 -2.19565 0.907 0.348 -1.257 -0.70
C 5.90653 -0.76080 -0.95143 1.769 1.238 0.768 -1.17
C 2.84008 0.19754 -3.39855 0.669 -0.868 -1.390 -2.15
C 1.43961 -0.05765 -4.14019 -1.350 0.573 -2.188 2.06
C 1.72634 -0.27657 -5.77662 0.156 0.332 -0.306 -1.12
C 0.40721 1.26186 -4.12865 1.144 0.681 0.506 -0.70
N 2.98160 -2.22105 -2.27030 0.877 -2.224 -1.284 1.31
C 3.80017 -3.21327 -1.47655 0.925 -1.363 2.567 -0.48
C 3.00205 -4.66898 -1.22230 0.162 -0.002 -0.725 -0.78
C 3.01179 -2.85067 -3.62839 0.432 -0.856 -0.851 -1.12
O 1.64191 -3.42830 -3.84631 1.178 -0.760 -3.965 -0.03
C 1.49738 -3.97908 -5.19309 -6.586 0.919 -2.573 0.54
C 2.62321 -4.74144 -6.10194 1.438 0.419 0.979 -1.07
O 0.26744 -3.84476 -5.76480 7.652 -0.920 3.848 -0.59
H -1.81845 2.02548 1.96415 0.135 -1.028 -2.279 0.38
H -1.32954 2.51228 0.16954 -0.859 -1.675 1.558 0.14
H -2.64329 1.16705 0.38868 1.831 0.805 1.144 0.28
H 0.45772 1.02116 1.44103 -1.654 -1.339 -1.360 -0.10
H -0.82602 -0.45812 1.30019 1.245 1.835 -0.949 0.21
H -0.67739 0.99963 -1.36187 1.996 -1.469 1.019 0.17
H -0.76055 -1.83380 -0.38676 0.634 1.237 -2.149 0.55
H 0.40348 -1.84266 -1.86518 -1.383 1.387 0.832 -0.49
H -1.51672 -0.96940 -3.21269 -0.157 -0.497 1.249 0.28
H -2.34149 -1.95604 -2.04737 1.420 1.523 -0.525 0.29
H 2.39425 0.02195 1.48446 0.743 -1.384 -2.124 -0.39
H 3.83780 -1.02516 0.89067 -2.492 0.700 -1.149 -0.07
H 0.82350 -1.85509 1.55553 1.833 0.273 -1.679 0.28
H 1.48407 -2.68515 -0.00021 0.880 1.373 1.615 -0.85
H 1.99982 -3.71856 2.11902 0.881 0.645 -0.143 0.33
H 2.81239 -2.41732 2.75206 -0.272 -0.814 -1.441 0.16
H 2.83220 2.99496 2.26253 1.649 -0.973 -1.292 0.23
└──

Transcribe all of the calculation results further up exactly.

Entry 1:
# C2H5NO2

2 unconnected molecules or ions with the total composition C2H5NO2 at a distorted geometry (wB97M-V/def2-TZVPD, OMol25).

Computed properties:
Structure (SMILES): NC=O.C=O
HOMO-LUMO gap, eV: 10.6
Highest occupied orbital energy, eV: -9.8

Geometry as ORCA input:
```
! wB97M-V def2-TZVPD RIJCOSX def2/J DEFGRID3
* xyz 0 1
O -2.842 -2.357 -1.606
C -1.700 -1.880 -1.854
H -1.460 -1.232 -2.775
H -1.068 -2.306 -1.092
C 0.637 1.036 0.960
N 1.641 1.742 1.528
O 0.472 0.909 -0.263
H 0.016 0.404 1.706
H 1.883 1.752 2.492
H 2.421 1.931 0.904
*
```

Entry 2:
# C2H5NO2

C2H5NO2 in the gas phase at a distorted geometry (wB97M-V/def2-TZVPD, OMol25).

Computed properties:
Structure (SMILES): C=[N+]([O-])OC
HOMO-LUMO gap, eV: 10.0
Highest occupied orbital energy, eV: -9.2

Geometry as ORCA input:
```
! wB97M-V def2-TZVPD RIJCOSX def2/J DEFGRID3
* xyz 0 1
C -0.192 -1.926 -0.285
C 0.042 1.702 0.028
N 0.223 -0.843 0.315
O 1.180 -0.597 1.071
O -0.435 0.357 -0.331
H -1.164 -1.838 -0.857
H 0.248 -2.882 -0.156
H -0.925 2.153 -0.078
H 0.675 2.147 -0.733
H 0.347 1.726 1.027
*
```

* * * * *

This record from the Open Molecules 2025 dataset describes 5 unconnected molecules or ions with the total composition C46H106N8O3. The level of theory is wB97M-V/def2-TZVPD.

structure (SMILES): CC[C@H](CN)O[C@](CCN)(N=C(C)C)[C@](CC)(CC(C)C)N(CC)COC(C)=O.CCN(CC)CC.CCN(CC)CC.CCN(CC)CC.CCN(CC)CC
E_tot: -67469.3439 eV
net charge: 0
HOMO level: -7.658 eV

Structure (XYZ):
```
163
Properties=species:S:1:pos:R:3:forces:R:3:mulliken_charge:R:1
C -1.66923 1.61042 0.86741 1.104 0.335 -0.915 -1.03
C -0.40377 0.51825 0.79751 -0.670 0.761 0.446 0.07
C 0.07892 0.26288 -0.78769 -4.004 -0.212 -0.188 -0.28
C -0.45143 -1.21752 -1.36177 0.254 -0.981 1.543 0.18
N -1.70984 -1.11374 -2.19822 0.392 -0.744 0.381 -0.60
O 1.36718 0.68408 -1.14305 -0.022 -1.240 0.272 -0.01
C 2.58463 0.01000 -0.81902 3.219 0.627 -0.036 0.59
C 2.71252 -0.73529 0.61530 -0.880 -0.140 1.681 -0.45
C 1.80658 -2.04989 0.92713 -0.298 -0.718 0.657 0.82
N 2.65733 -2.95421 1.84639 -1.285 0.780 0.455 -0.61
N 3.55530 1.20982 -0.65915 -3.207 1.247 2.649 -0.12
C 3.11915 2.25865 0.01001 1.570 0.133 0.036 0.10
C 3.63377 2.46566 1.59257 1.142 -0.009 -1.197 -0.71
C 2.27370 3.59840 -0.52771 -1.160 -1.039 1.074 -0.40
C 3.30365 -0.78977 -2.12105 0.655 2.697 -0.798 0.28
C 4.93264 -0.60914 -2.19565 0.907 0.348 -1.257 -0.70
C 5.90653 -0.76080 -0.95143 1.769 1.238 0.768 -1.17
C 2.84008 0.19754 -3.39855 0.669 -0.868 -1.390 -2.15
C 1.43961 -0.05765 -4.14019 -1.350 0.573 -2.188 2.06
C 1.72634 -0.27657 -5.77662 0.156 0.332 -0.306 -1.12
C 0.40721 1.26186 -4.12865 1.144 0.681 0.506 -0.70
N 2.98160 -2.22105 -2.27030 0.877 -2.224 -1.284 1.31
C 3.80017 -3.21327 -1.47655 0.925 -1.363 2.567 -0.48
C 3.00205 -4.66898 -1.22230 0.162 -0.002 -0.725 -0.78
C 3.01179 -2.85067 -3.62839 0.432 -0.856 -0.851 -1.12
O 1.64191 -3.42830 -3.84631 1.178 -0.760 -3.965 -0.03
C 1.49738 -3.97908 -5.19309 -6.586 0.919 -2.573 0.54
C 2.62321 -4.74144 -6.10194 1.438 0.419 0.979 -1.07
O 0.26744 -3.84476 -5.76480 7.652 -0.920 3.848 -0.59
H -1.81845 2.02548 1.96415 0.135 -1.028 -2.279 0.38
H -1.32954 2.51228 0.16954 -0.859 -1.675 1.558 0.14
H -2.64329 1.16705 0.38868 1.831 0.805 1.144 0.28
H 0.45772 1.02116 1.44103 -1.654 -1.339 -1.360 -0.10
H -0.82602 -0.45812 1.30019 1.245 1.835 -0.949 0.21
H -0.67739 0.99963 -1.36187 1.996 -1.469 1.019 0.17
H -0.76055 -1.83380 -0.38676 0.634 1.237 -2.149 0.55
H 0.40348 -1.84266 -1.86518 -1.383 1.387 0.832 -0.49
H -1.51672 -0.96940 -3.21269 -0.157 -0.497 1.249 0.28
H -2.34149 -1.95604 -2.04737 1.420 1.523 -0.525 0.29
H 2.39425 0.02195 1.48446 0.743 -1.384 -2.124 -0.39
H 3.83780 -1.02516 0.89067 -2.492 0.700 -1.149 -0.07
H 0.82350 -1.85509 1.55553 1.833 0.273 -1.679 0.28
H 1.48407 -2.68515 -0.00021 0.880 1.373 1.615 -0.85
H 1.99982 -3.71856 2.11902 0.881 0.645 -0.143 0.33
H 2.81239 -2.41732 2.75206 -0.272 -0.814 -1.441 0.16
H 2.83220 2.99496 2.26253 1.649 -0.973 -1.292 0.23